
Hi. I'm a new user to 3d graphics and have been using Strata Studio Pro 2.5.5 for about a month. I'm a little in the dark when it comes to making masks...
I can animate and make 36 different little pics of the ship I made, but don't know how to mask them so I can use the ship in a plug. I've got mostly all of the good graphics programs (like Photoshop) but just don't know how to use them well.

Thanks, Majordomo
Commander of the guard.

This record from the Open Molecules 2025 dataset describes a 2-piece molecular cluster, C6H7N overall. The level of theory is ωB97M-V/def2-TZVPD.

```
14
Properties=species:S:1:pos:R:3:forces:R:3
N 1.658447 -0.749562 2.991048 0.48 -1.53 0.73
C 0.811831 -1.097796 0.504662 -0.56 -0.61 0.96
C 0.684725 0.152506 0.798649 -0.48 1.15 0.29
C 0.419085 3.295760 -1.860369 -3.27 -3.67 -0.91
C 0.177295 2.044765 -1.419988 0.63 1.77 -0.56
C 1.119225 -0.647243 1.884702 1.16 0.70 -0.32
C 0.567716 -2.376830 -0.102878 -0.50 -1.46 0.83
H 0.930558 -3.141571 0.643465 -0.45 0.45 -1.07
H 0.398852 1.279511 -0.640291 -0.04 1.18 -0.85
H 0.985585 3.986814 -1.352030 1.53 1.51 1.03
H 1.147547 -2.437698 -1.000920 0.07 -0.41 -0.72
H -0.534192 -2.514700 -0.267182 1.09 0.05 -0.09
H -0.253895 3.652223 -2.694176 1.06 -0.20 0.73
H 2.115709 -1.674013 3.184681 -0.69 1.06 -0.04
```
Positions in Å, forces in eV/Å.

Output
**Total energy**: -7816.8229 eV
**Multiplicity**: 3
**Lowest unoccupied orbital energy (spin up / spin down)**: 0.02031 / -0.05382 hartree
**F_max**: 5.002 eV Å⁻¹
**Kohn-Sham gap (spin up / spin down)**: 8.482 / 8.155 eV
**Energy above the lowest of the compared OMol25 structures with the same formula, charge and spin**: 334.3 kJ/mol
**HOMO energy (spin up / spin down)**: -7.930 / -9.620 eV
**Total charge**: 0


With photoshop...apply a threshold of 1 or something and that'll make you a mask...

PEACE YO! (The Commander of the Commander of the Commander of the Guard...>=))

Damon: An Immortal! Hahaha...there are things worse than DEATH!
Kwanza: bang...bang
"Quoted the Kwanza Man...Nevermore"
If you're one in a million, then there are 1000 people just like you in China.

or you could make a spin graphic with all 36 frames, open it in photoshop, use the magic wand tool, select the black areas, and copy, paste into a new document, save as pict, and you have a mask 🙂

(url="http://"")Harzius Productions(/url)
(url="http://"")Iced Earth(/url)

I was thinking that you did it by rendering the spin again with a background colour that isn't used in the actual ship, then selecting that colour in Photoshop and making it black.
How does that work?

Commander of the guard.



Originally posted by Majordomo:
**I was thinking that you did it by rendering the spin again with a background colour that isn't used in the actual ship, then selecting that colour in Photoshop and making it black.
How does that work?

Commander of the guard.


you could do that too, with photoshop... how i said above, but just change the color in the new doc with paint bucket or whatever (make sure anti-aliasing is off)

(url="http://"")Harzius Productions(/url)
(url="http://"")Iced Earth(/url)

Majordomo, your method is also how I make masks. I render the ship once with a black background, and then once with a background that is radically different from the ship's color. Then (in the drawing/painting/photoshopping application of your choice) I would use the magic wand thingie on the radically different color, drag it over there, and fill it (the color, not the hole you create by dragging!) in with black.

This method is especially useful if you have very dark, large ships that, when you can see holes punched in them when they are over planets, lose their menace.
(Look, I can see through the cockpit onto the surface of Ursa Minor Beta!)

"Life is pain. Anyone who says differently is selling something."

(This message has been edited by Mr. S'pht (edited 12-24-2000).)

(This message has been edited by Mr. S'pht (edited 12-24-2000).)

Actually, if you're rendering it twice anyway, why don't you just put the two renderings with different background colors on top of each other and make a difference layer?
this would give you a far more precise result then the magic wand ever could, plus it would also be good for stuff like holes in the center of the ship, etc...



What I do is render the ship once the way I want it to look. Then I copy the file, turn the ambient light up as high as it will go, and set the background to black. I also turn all the objects in the scene white. This effectively causes the rendering program to create a perfect mask, if I render with the same settings as before.

The people who are crazy enough to think they can change the world are the ones who do.

Here's to the crazy ones.


Originally posted by Majordomo:
**Hi. I'm a new user to 3d graphics and have been using Strata Studio Pro 2.5.5 for about a month. I'm a little in the dark when it comes to making masks...
I can animate and make 36 different little pics of the ship I made, but don't know how to mask them so I can use the ship in a plug. I've got mostly all of the good graphics programs (like Photoshop) but just don't know how to use them well.

Thanks, Majordomo
Commander of the guard.


Render alpha channels. There is a checkmark to do this in the "Render" dialog. Than when you open up the document in photoshop, you'll have your mask saved as a Alpha Channel.

"The difference between a boss and a leader: a boss says, 'Go!' - a leader says, 'Let's go!'"
-E. M. Kelly
Star Trek Escape Velocity